Cloud Computing Zone Tests “Chongqing Model”
Publication: China Brief Volume: 11 Issue: 13

In March 2011, the municipal government of Chongqing announced its intention to construct a special economic “cloud computing zone” (yun tequ), the largest such zone in Asia (Nanfang Zhoumo, June 16). Not only will this initiative offer participating foreign companies with the unique IT services provided by the “cloud,” but it will also allow these companies to circumvent the “Great Firewall” that restricts the Chinese public’s internet access. Chongqing’s local government expects this endeavor to help attract foreign businesses, and moreover, that it will represent a new model for Chinese economic development.
Yet, cloud services and the purported internet freedom provided by the Chinese government give rise to questions about information security and the underlying intentions of the Chinese leadership. The cloud zone has come under fire both for its seemingly two-faced policy of allowing unrestricted internet for foreign companies only, and for its attempt to get foreign companies to store information in a facility run by a government reputed to steal sensitive data from foreign entities. In order to reinvent itself as a successful cloud computing hub, Chongqing’s government will have to convince foreign businesses that high-tech information services can thrive in an authoritarian socialist economy.
Attractions of the Cloud Zone
Cloud computing allows for the outsourcing of a wide range of IT services. The fundamental aspect of cloud computing is that data storage and processing is done remotely, often by a third-party service provider. Data can then be stored remotely and software and processing power can be rented out as needed rather than requiring a large initial investment of infrastructure, allowing a cloud computing subscriber to essentially outsource its entire IT department. Cloud computing also allows companies to avoid issues of internet bandwidth and software licensing by outsourcing these issues to the cloud provider.
### Between two parts of the text: crystal structures
____________
{"formula": "Ca6Ac12La", "functional": "GGA-PBE", "state": "optimized geometry", "lattice": [[7.387, 4.265, 4.546], [-7.387, 4.265, 4.546], [0.000, -8.530, 4.546]], "species": ["Ca", "Ca", "Ca", "Ca", "Ca", "Ca", "Ac", "Ac", "Ac", "Ac", "Ac", "Ac", "Ac", "Ac", "Ac", "Ac", "Ac", "Ac", "La"], "fractional_positions": [[0.087, 0.343, 0.343], [0.343, 0.087, 0.343], [0.343, 0.343, 0.087], [0.657, 0.657, 0.913], [0.657, 0.913, 0.657], [0.913, 0.657, 0.657], [0.095, 0.095, 0.672], [0.095, 0.672, 0.095], [0.238, 0.500, 0.762], [0.238, 0.762, 0.500], [0.328, 0.905, 0.905], [0.500, 0.238, 0.762], [0.500, 0.762, 0.238], [0.672, 0.095, 0.095], [0.762, 0.238, 0.500], [0.762, 0.500, 0.238], [0.905, 0.328, 0.905], [0.905, 0.905, 0.328], [0.500, 0.500, 0.500]], "final_energy_ev_per_atom": -3.350, "n_ef_per_ev_atom": 1.62}
____________
Chongqing’s government has advertised itself as willing to subsidize this type of cloud zone, and that translates into a large provision of ready-made IT infrastructure and services for any company willing to make the move (Forbeschina.com, June 17). Since larger companies often spend millions of dollars and significant manpower just to manage their email and other data systems, the cost savings delivered by a government-subsidized cloud zone like Chongqing’s would certainly be a compelling incentive.
Unrestricted internet access within the cloud zone would also be attractive to foreign businesses choosing a location to set up a local office in China, since within China’s “Great Firewall” censorship regime, access to ubiquitous websites like Google and Microsoft.com is often unreliable and can make even daily business operations arduous. Yet, provisions to escape the Great Firewall for foreign companies, larger Chinese companies and research institutions, and even savvy private citizens are nothing new. For years, anyone rich or well-connected enough can acquire a VPN (virtualized private network) from one of China’s official internet providers, establishing a direct link with the worldwide web and bypass Chinese censorship policy [1]. At least until recently, the ease and convenience of using a VPN left little reason to relocate to any kind of special zone like Chongqing’s.
In recent months, however, even these methods have become less dependable, with disruptions to foreign websites eroding the usefulness of VPNs. Not only do Chinese VPN providers have a financial disincentive to allow users to access foreign websites, since they have to pay for the foreign internet flow, but it may also be that Chinese web censors are clamping down on the VPN loophole in the Great Firewall (South China Morning Post, May 25). If this is the case and VPNs lose their allure, then the internet freedom of Chongqing’s cloud zone would prove itself more than just a publicity gimmick and begin to attract serious attention from potential subscribers.
In a vacuum, these features should be a significant draw for foreign businesses, but it remains to be seen if the advantages outweigh possible risks of signing up for an untested cloud provider overseen by a regional Chinese government. The snap-response of many pundits may be that no foreign business would trust the Chinese government with its data (Voice of America, June 21), but the issue is more complicated, and it may be that the reputation of the cloud provider and the zone’s location matter more than the trustworthiness of the Chongqing government. While the Chinese government’s attitude toward information security is certainly a factor, the stability of the service provider (as well as the area’s geological stability) may be what makes or breaks the deal.
The Risks of Chinese Clouds and Chongqing’s Geography
In the West as well, private cloud computing services give rise to questions of trust and information security. There is a limit to what can be safely stored in a cloud administered even by a reasonably trustworthy third party, because beyond just the possibility of data theft by an unscrupulous cloud provider, there is always a chance that data can be lost through accidents or natural disasters striking the data center, or through the sale or bankruptcy of a fly-by-night cloud provider.
Even in the most trusted cloud system, users make a conscious decision between what can be safely stored and what is too great a risk to expose to a third party. Cloud storage is a practical choice for data like corporate email, since email is already insecure and a well-informed user will not send critical information by email. Moreover, the loss of old email will not usually shutter a business. Sensitive financial data or intellectual property, on the other hand, are not good candidates for cloud storage, since any potential data theft or loss could cripple a business.
If even large Western cloud providers are not entirely trusted, to say nothing of smaller, less well-known Western cloud providers, do Chinese providers deserve to be trusted even less? Previous conflicts between Western companies and Chinese authorities over data security have left many in the West suspicious that the Chongqing cloud zone is nothing but a trap (Voice of America, June 21). Yet, even if the Chongqing government had the goal of stealing data, it would not have access to the kinds of data that were previously a target in the Google cyber break-ins. Storing data in Chongqing’s cloud may carry a risk, but companies will inevitably be discerning with what they put on the cloud, as they would with any cloud provider.
In any case, the dependability and reputation of the cloud provider should be of larger concern than the reputation of the Chongqing government. Chongqing’s government has designated PacNet, one of the largest telecom and data service providers in Asia, to provide the software and mainframes that will power the cloud zone [2]. While PacNet is relatively well-known in Asia, convincing American or European companies to subscribe to its services might be a tougher sell.
Issues of trust aside, the greatest risk of Chongqing’s cloud zone may be that it lies in a recently active earthquake zone. For obvious reasons, some companies may balk at the prospect of losing the entirety of their data if the cloud zone’s mainframes are destroyed in an earthquake. While this may not draw the same media attention as suspicion of an unscrupulous Chinese government, it is nonetheless a significant factor in the decision of companies to relocate. To successfully attract companies to participate, Chongqing’s government may have to demonstrate that its infrastructure is at least earthquake-resistant.
Chongqing Seeks a New Development Model
Records of crystals, as found in the file:
=====
Entry 1:
AlSnTe3: optimized geometry, GGA-PBE.

abc: 9.924 7.202 9.495
angles: 90.00 116.70 90.00
Space group P2_1/c (No. 14)
Asymmetric unit:
Al 0.075 0.248 0.100
Sn 0.398 0.738 0.875
Te 0.088 0.055 0.362
Te 0.201 0.582 0.542
Te 0.374 0.130 0.764

Values from the calculation:
Uncorrected energy ... -72.6 eV/cell
Volume ... 30.31 Å³/atom
Magnetization ... 0.0000 μB per atom
Formation energy without anion corrections ... -0.1976 eV/atom


Entry 2:
AlSn2Te: optimized geometry, GGA-PBE.

abc: 7.476 7.476 7.476
angles: 90.00 90.00 90.00
Space group Fm-3m (No. 225)
Asymmetric unit:
Al 0.000 0.000 0.000
Sn 0.250 0.250 0.250
Te 0.000 0.000 0.500

Values from the calculation:
Uncorrected energy ... -56.5 eV/cell
Volume ... 26.12 Å³/atom
Magnetization ... 0.0000 μB per atom
Formation energy without anion corrections ... 0.1916 eV/atom


Entry 3:
Al3SnTe6: optimized geometry, GGA-PBE.

abc: 6.828 7.123 7.846
angles: 65.99 74.63 71.33
Space group P-1 (No. 2)
Asymmetric unit:
Al 0.000 0.000 0.000
Al 0.000 0.500 0.000
Al 0.500 0.000 0.000
Sn 0.500 0.000 0.500
Te 0.161 0.086 0.260
Te 0.232 0.294 0.734
Te 0.333 0.695 0.916

Values from the calculation:
Uncorrected energy ... -36.1 eV/cell
Volume ... 32.62 Å³/atom
Magnetization ... 0.0000 μB per atom
Formation energy without anion corrections ... -0.1977 eV/atom


Entry 4:
Al2SnTe: optimized geometry, GGA-PBE.

abc: 4.3356 4.3356 22.8968
angles: 90.00 90.00 120.00
Space group R-3m (No. 166, hexagonal axes)
Asymmetric unit:
Al 0.0000 0.0000 0.1115
Sn 0.0000 0.0000 0.5000
Te 0.0000 0.0000 0.0000

Values from the calculation:
Uncorrected energy ... -41.0 eV/cell
Volume ... 31.06 Å³/atom
Magnetization ... 0.0000 μB per atom
Formation energy without anion corrections ... 0.2443 eV/atom


Which formula does entry 1 have? AlSnTe3


Which formula does entry 3 have? Al3SnTe6


This record from Alexandria via LeMat-Bulk describes a relaxed Dy6TmCd2 crystal. The functional is PBE.

Lattice parameters (Å, degrees): 12.5506 3.7323 11.8100 90.00 108.85 90.00
With the nearest neighbours (Å) after each atom.
Space group C2/m (No. 12)
Inequivalent atoms, fractional coordinates:
Dy (0.0158, 0.0000, 0.3379)  2 Cd 3.20, 7 Dy 3.49-3.54
Dy (0.1849, 0.5000, 0.8775)  2 Cd 3.21, 5 Dy 3.39-3.49
Dy (0.1873, 0.5000, 0.5844)  2 Cd 3.27, 8 Dy 3.46-3.54
Tm (0.0000, 0.0000, 0.0000)  4 Cd 3.13
Cd (0.1453, 0.5000, 0.2052)  2 Tm 3.13, 6 Dy 3.20-3.27

Calculated values
ΔE_f in eV per atom: -0.13
E in eV per atom: -3.90


[1]
Crystalline ScRhBr at its relaxed geometry. Source: Alexandria via LeMat-Bulk, functional PBE-GGA.

a = 4.393 Å, b = 4.393 Å, c = 3.304 Å
α = 90.00°, β = 90.00°, γ = 120.00°
Fractional positions:
Br 0.000 0.000 0.166
Rh 0.667 0.333 0.167
Sc 0.333 0.667 0.667

Calculated values
Final energy ... -5.546 eV/atom
Formation energy from raw total energies ... -0.428 eV/atom
SG ... P-6m2 (187)
Excess energy over the best structure of this formula in the dataset ... 0.84 eV/f.u.
Theoretical density ... 6.848 g/cm3


[2]
=====
Chongqing may seem an unusual choice for a cloud computing hub, and its pursuit of a new special economic development zone would appear to reflect the ambitions of its leadership more than its current role in the Chinese economy. Chongqing has been a major manufacturing base for decades, but its production is aimed primarily at the Chinese military and, in more recent years, the Chinese middle classes, with 90 percent of its manufactured goods going to the domestic market [3]. As a result, Chongqing’s economy had one of the fastest growth rates in China since foreign demand collapsed in 2008, maintaining 14.3 percent growth when coastal China’s growth rate lagged [4].
A | Here is a geometry-optimized BiTe2PtN structure from Alexandria. Energies are from GGA-PBE.

Lattice parameters (Å, degrees): 5.850 5.850 4.144 90.00 90.00 90.00
Atoms (fractional coordinates):
Bi 0.000 0.000 0.000
Te 0.000 0.500 0.000
Te 0.500 0.000 0.000
Pt 0.500 0.500 0.500
N 0.000 0.000 0.500

Computed properties:
**Density of states at the Fermi level**: 1.272 states/eV/atom


B | Here is a geometry-optimized BiTe2PtN structure from Alexandria. Energies are from GGA-PBE.

Lattice parameters (Å, degrees): 5.679 5.679 3.754 90.00 90.00 90.00
Atoms (fractional coordinates):
Bi 0.000 0.000 0.000
Te 0.000 0.500 0.500
Te 0.500 0.000 0.500
Pt 0.500 0.500 0.500
N 0.500 0.500 0.000

Computed properties:
**Density of states at the Fermi level**: 0.430 states/eV/atom


Most stable of them? B.


A | Here is a geometry-optimized PuBiN structure from Alexandria. Energies are from GGA-PBE.

Lattice parameters (Å, degrees): 3.707 3.707 5.696 90.00 90.00 120.00
Atoms (fractional coordinates):
Pu 0.000 0.000 0.000
Bi 0.667 0.333 0.500
N 0.333 0.667 0.000

Computed properties:
**Density of states at the Fermi level**: 2.036 states/eV/atom


B | Here is a geometry-optimized PuBiN structure from Alexandria. Energies are from GGA-PBE.

Lattice parameters (Å, degrees): 8.842 8.842 8.842 154.58 154.58 36.26
Atoms (fractional coordinates):
Pu 0.080 0.080 0.000
Pu 0.920 0.920 0.000
Bi 0.299 0.299 0.000
Bi 0.701 0.701 0.000
N 0.000 0.500 0.500
N 0.500 0.000 0.500

Computed properties:
**Density of states at the Fermi level**: 2.226 states/eV/atom


Most stable of them? A.


A | Here is a geometry-optimized PuBiN structure from Alexandria. Energies are from GGA-PBE.

Lattice parameters (Å, degrees): 6.798 6.798 6.798 152.60 152.60 39.14
Atoms (fractional coordinates):
Pu 0.000 0.000 0.000
Bi 0.272 0.272 0.000
N 0.535 0.535 0.000

Computed properties:
**Density of states at the Fermi level**: 2.296 states/eV/atom


B | Here is a geometry-optimized PuBiN structure from Alexandria. Energies are from GGA-PBE.

Lattice parameters (Å, degrees): 3.883 3.883 9.780 101.41 101.41 90.00
Atoms (fractional coordinates):
Pu 0.192 0.192 0.383
Pu 0.808 0.808 0.617
Bi 0.420 0.420 0.841
Bi 0.580 0.580 0.159
N 0.250 0.750 0.500
N 0.750 0.250 0.500

Computed properties:
**Density of states at the Fermi level**: 2.175 states/eV/atom


Most stable of them? B.


A | Here is a geometry-optimized Pu2BiN structure from Alexandria. Energies are from GGA-PBE.

Lattice parameters (Å, degrees): 6.423 6.423 4.982 90.00 90.00 110.77
Atoms (fractional coordinates):
Pu 0.000 0.000 0.000
Pu 0.000 0.500 0.000
Pu 0.500 0.000 0.000
Pu 0.500 0.500 0.500
Bi 0.188 0.812 0.500
Bi 0.812 0.188 0.500
N 0.272 0.272 0.000
N 0.728 0.728 0.000

Computed properties:
**Density of states at the Fermi level**: 3.989 states/eV/atom


B | Here is a geometry-optimized Pu2BiN structure from Alexandria. Energies are from GGA-PBE.

Lattice parameters (Å, degrees): 3.199 3.199 8.183 90.00 90.00 90.00
(Here the text continues)
However successful, Chongqing’s economy has in the past followed a middle-income industrial model. Its possibilities for expansion are also limited, since it is landlocked and would have difficulty pursuing the same export-driven growth path that coastal cities pursued before it. Today, Chongqing’s leadership, especially its ambitious Party Secretary Bo Xilai, would like to see it leapfrog ahead and become a model of a high-tech, international, service-driven economy. Since cloud computing is a perfect example of the foundation for a high-tech, service driven industry, Chongqing’s cloud zone can be seen as one of the first steps in making it an economic test zone, much like Shenzhen was in the early 1990s.
Yet the goal of the “Chongqing model” experiment is very different from that of the “Shenzhen model”. The Chongqing government believes in the merits of socialism rather more than is the modern Chinese norm, and envisions a strong role for the government in regulating the economy. Under Bo Xilai’s leadership, Chongqing has resurrected socialist welfare programs, a strong role for government in the economy and popular “red culture,” among other efforts aimed at restoring the “virtues of socialism.” Xi Jinping, the presumptive successor to Hu Jintao to become China’s next Party Secretary, is reportedly also a close colleague of Bo Xilai, and has seemingly endorsed the Chongqing model as a way forward for the Chinese economy (See “Xi Jinping’s Chongqing Tour: Gang of Princelings Gains Clout,” China Brief, December 17, 2010).
There are understandable concerns that this greater role for government may be at odds with the information freedom required for data processing in the cloud zone. While cloud computing is a perfect opportunity for a region attempting to develop its IT service portfolio, China has historically had little success with the industry as a result of its information control policies. China’s neighboring peers Singapore, India, and Malaysia have all had significant successes developing remote data processing services (a major component of cloud computing), but China has been noticeably absent from the party due to its strict controls on information flow (Nanfang Zhoumo, June 16).
Chongqing’s new commitment to cloud computing implies at least a certain tolerance for information freedom. Much like the modern Chinese economy as a whole, the Chongqing economic model is a mixture of conflicting strategies. The old Chinese model of economic freedom alongside social control, as represented by Shenzhen, has existed for over thirty years and displayed remarkable success. The Chongqing model seems to change the equation slightly, providing more economic regulation and at the same time less information control. The cloud zone appears to fit into this larger Chongqing model, but it remains to be seen what role the government plans to play in its administration. Bo Xilai and Xi Jinping seem to be trying to integrate the potentially conflicting priorities of creating a wider role for government in business and at the same time promoting industries that can only thrive with greater information freedom.
A Symbol of Something Larger?
On the surface, Chongqing’s cloud zone does not appear to offer anything novel to a foreign company looking to set up shop. Foreign businesses currently possess proven ways to escape China’s internet censorship, and companies like IBM have already blazed the trail of cloud computing in China [5]. Yet, the new cloud zone does offer itself as a milestone, and its sheer scale sets it apart. If successful, it could dampen suspicion that has been on the rise in recent years of the Chinese government’s attitude toward data privacy and foreign business. If the Chinese Communist Party (CCP) can go even further and encourage growth in new high-tech industries while retaining oversight and promoting Bo Xilai’s concept of “new socialist virtue,” then Chongqing could represent a significant step toward a viable new Chinese economic model.
1. For more information on China’s VPN system see China Unicom’s VPN website: https://www.unicomamericas.com/mpls-vpn.html, and an independent report on China’s VPN market: https://www.reportsnreports.com/reports/75733-ip-vpn-market-forecast-in-china-to-2016.html.
2. “Pacnet Joins New Cloud Computing Initiative in China,” March 2, 2011, https://www.pacnet.com/inter/index.asp?pg=about-pacnet_newsroom&view=singlenews&page=11&year=2011.
3. Bo Zhiyue and Chen Gang, “Bo Xilai and the Chongqing Model,” East Asian Policy, 42-49, July 17, 2009. https://www.eai.nus.edu.sg/Vol1No3_BoZhiyueChenGang.pdf.
4. Ibid.
5. “Made in IBM Labs: IBM to Build First Cloud Computing Center in China,” February 1, 2008, https://www-03.ibm.com/press/us/en/pressrelease/23426.wss.